[What to do]
Set down only the lines further down with the word "input" in them.
[Given]
1.
Computed, not measured: the ion C4H9N2O3S with charge -1, with the ωB97M-V functional and the def2-TZVPD basis.

Output
- relative energy (zero: lowest compared OMol25 entry of this formula, charge and spin) (eV) = 0.454
- SMILES = CCC(=O)NC=[S@](N)(=O)[O-]

ORCA input file:
```
! wB97M-V def2-TZVPD RIJCOSX def2/J DEFGRID3
* xyz -1 1
O -1.3076 -1.6669 1.9128
H -2.0586 -3.9366 -0.4449
C 0.8278 1.9889 -0.1441
H 1.0608 3.2332 -2.0626
H 0.3725 4.0737 -0.7920
O -0.1515 -3.9526 1.4515
H 1.8974 2.1418 0.1160
H -2.5417 -2.2333 -0.3044
H -0.3405 -0.3336 0.7104
C 0.3232 -2.0633 -0.3237
C 1.0308 0.3829 -0.6997
H 0.2096 1.9671 0.7982
N 0.1256 -0.4423 -0.2097
H 1.3652 -2.2726 -0.0151
N -2.1565 -3.1054 0.1390
O 2.0020 0.1303 -1.3945
H -0.5309 2.8599 -1.6388
S -0.6657 -2.6745 1.0156
C 0.4656 3.0860 -1.2059
*
```

***

2.
Computed, not measured: a structure of composition C22H57BBrIN14NbO11, with the ωB97M-V functional and the def2-TZVPD basis.

ORCA input file:
```
! wB97M-V def2-TZVPD RIJCOSX def2/J DEFGRID3
* xyz -1 1
N -1.2237 -5.9342 5.0511
H -0.9349 -0.0309 5.5774
C -0.8933 -7.2490 5.1383
H 4.4942 1.5360 1.3734
H -0.8864 0.8386 -1.7214
O -5.8933 3.0545 -1.7244
H 3.9158 -1.0103 0.5661
N 8.8845 0.0866 -0.8480
H 2.4843 -3.0639 -4.2164
H -4.5973 4.4004 -2.1505
H -5.6763 6.4778 -1.9322
O -0.4116 -4.0629 2.6910
H 3.7023 0.1875 -4.7965
H -0.0717 -8.7352 4.0147
H 1.1478 -1.4624 3.8464
Nb -0.8306 -0.2723 2.0624
N -1.3522 4.8332 -5.1677
H 3.0061 -0.7896 2.5338
N -7.3374 -3.1850 0.9696
H 0.1354 -2.1348 0.2146
O -3.1395 -0.5604 -0.2686
H 5.5432 -1.2667 1.2809
H -5.6854 -2.7796 -0.9188
O 11.0589 -0.2445 -1.4124
H -0.4297 2.9424 -6.6081
H -2.9426 -2.0676 2.8064
H -1.0755 -5.3939 4.2164
H -2.9809 4.3605 -2.7897
H 3.5269 -1.0579 -3.6142
C 4.5624 0.5675 1.8613
N 9.5836 -1.9485 -1.6722
H -3.6983 -0.5325 2.2535
C -6.4674 2.1483 -1.1397
H -0.9175 3.2771 -1.4738
N -4.8555 6.9267 -2.2910
H -0.1769 -7.2250 3.1705
N -0.3347 -7.7692 3.9982
O -1.0183 3.3395 -3.5096
H 0.9770 1.0013 0.2373
N -7.4573 1.4166 -1.7298
H 2.5069 2.0041 1.5961
C 0.0462 -0.2372 5.1463
O 3.7581 -0.0494 -1.7659
C 1.1215 0.4228 1.1542
H -6.6092 1.0593 0.6404
H -2.5189 1.4361 -1.6246
C -2.8637 -0.9806 2.7884
H -3.9423 -0.0336 -0.1738
C 0.1088 -1.1370 3.9974
C 1.1493 0.3222 5.7483
C 2.0748 1.1549 2.1355
O -5.5956 -2.4444 2.2326
N 3.3908 -0.7335 -4.5546
H -1.6300 -5.5018 5.8583
C 4.6230 0.5617 -1.1992
N 2.3615 -2.7058 -5.1444
H 5.3818 0.5697 2.5810
H 1.6384 -0.4869 0.8196
H -7.8921 -3.3093 1.7951
N -3.8014 4.8893 -2.5330
H -1.9664 3.1794 -0.0668
H 5.0311 2.5390 -0.4460
H -5.4288 2.3234 0.5958
O 5.5177 -0.0513 -0.3686
C -3.7382 6.2335 -2.6769
N -0.4874 2.7346 -5.6303
H -2.9469 -0.6076 3.8172
H -7.7001 1.6504 -2.6739
C -1.6069 1.2881 -1.0265
H 7.9430 -0.2539 -0.7653
C 3.2420 0.2733 2.6094
O 2.6127 -1.0416 -6.6667
I -1.3998 2.2077 3.2203
H 1.5807 1.5733 3.0140
N -6.1567 1.8017 0.1412
C 9.9204 -0.6690 -1.3160
B -1.9879 0.2005 0.0632
H -7.7267 -3.4139 0.0758
H 5.6725 2.1930 -2.0466
H 1.9046 -3.2704 -5.8343
C -0.9440 3.6257 -4.6960
H 1.9602 -0.3455 6.0272
C 0.0852 -3.3279 1.8984
H -1.6835 5.4989 -4.4813
H 3.4216 0.4582 3.6701
H 8.6530 -2.3133 -1.6001
H -4.3878 -2.2031 0.0814
C 4.8159 2.0404 -1.3879
C -6.0546 -2.7112 1.1415
C -0.5273 -2.3223 1.0586
N -5.3295 -2.5604 -0.0083
C 2.7812 -1.4593 -5.5309
H -0.3213 2.6701 0.1218
H -0.4811 -2.0409 4.2335
H -1.4940 -2.6440 0.6742
C -1.1430 2.6868 -0.5927
O -2.7346 6.7998 -3.0998
H 3.9003 2.4465 -1.8066
H 9.0897 1.0292 -0.5765
H 10.3171 -2.5350 -2.0210
O -1.0701 -7.9254 6.1412
C 4.8624 -0.5461 0.8378
H -1.3637 5.0724 -6.1400
H -0.1964 1.8323 -5.3021
Br 2.0706 -3.5115 1.6497
H 1.2214 1.3842 5.9561
H -4.8310 7.9247 -2.3734
H -7.9377 0.6680 -1.2694
*
```

***

3.
Computed, not measured: a structure of composition C23H29ErN6O3S2, with the ωB97M-V functional and the def2-TZVPD basis.

Output
- expectation value of S² = 3.7528

ORCA input file:
```
! wB97M-V def2-TZVPD RIJCOSX def2/J DEFGRID3
* xyz 2 4
H -1.9304 2.6789 1.7601
H -1.8683 4.4686 1.6571
[Response]
ORCA input file:
ORCA input file:
ORCA input file: